Input:
┌──
# SnHg2S2Br2, relaxed, DFT PBE-GGA
# - Crystal system: monoclinic
# - E_tot: -2.66 eV per atom
data_SnHg2S2Br2
_chemical_formula_sum 'Sn4 Hg8 S8 Br8'
_space_group_name_H-M_alt 'P 1 21/c 1'
_space_group_IT_number 14
_space_group_name_Hall '-P 2ybc'
_cell_length_a 10.465
_cell_length_b 9.035
_cell_length_c 14.492
_cell_angle_alpha 90.00
_cell_angle_beta 110.56
_cell_angle_gamma 90.00
loop_
_atom_site_label
_atom_site_type_symbol
_atom_site_fract_x
_atom_site_fract_y
_atom_site_fract_z
Sn1 Sn 0.147 0.122 0.465
Hg1 Hg 0.318 0.070 0.184
Hg2 Hg 0.453 0.173 0.885
S1 S 0.253 0.185 0.308
S2 S 0.346 0.531 0.542
Br1 Br 0.056 0.655 0.923
Br2 Br 0.379 0.054 0.611

=====

# Hf2Au, relaxed, DFT PBE-GGA
# - Crystal system: tetragonal
# - E_tot: -8.17 eV per atom
data_Hf2Au
_chemical_formula_sum 'Hf4 Au2'
_space_group_name_H-M_alt 'I 4/m m m'
_space_group_IT_number 139
_space_group_name_Hall '-I 4 2'
_cell_length_a 3.246
_cell_length_b 3.246
_cell_length_c 11.746
_cell_angle_alpha 90.00
_cell_angle_beta 90.00
_cell_angle_gamma 90.00
loop_
_atom_site_label
_atom_site_type_symbol
_atom_site_fract_x
_atom_site_fract_y
_atom_site_fract_z
Hf1 Hf 0.000 0.000 0.163
Au1 Au 0.000 0.000 0.500

=====

# TaAuN2, relaxed, DFT PBE-GGA
# - Crystal system: orthorhombic
# - E_tot: -8.27 eV per atom
data_TaAuN2
_chemical_formula_sum 'Ta16 Au16 N32'
_space_group_name_H-M_alt 'P b c a'
_space_group_IT_number 61
_space_group_name_Hall '-P 2ac 2ab'
_cell_length_a 6.351
_cell_length_b 12.529
_cell_length_c 13.584
_cell_angle_alpha 90.00
_cell_angle_beta 90.00
_cell_angle_gamma 90.00
loop_
_atom_site_label
_atom_site_type_symbol
_atom_site_fract_x
_atom_site_fract_y
_atom_site_fract_z
Ta1 Ta 0.186 0.024 0.188
Ta2 Ta 0.235 0.721 0.563
Au1 Au 0.156 0.229 0.315
Au2 Au 0.215 0.522 0.437
N1 N 0.073 0.233 0.960
N2 N 0.116 0.011 0.793
N3 N 0.195 0.181 0.170
N4 N 0.212 0.067 0.582

=====

# Dy3InN, relaxed, DFT PBE-GGA
# - Crystal system: cubic
# - E_tot: -5.98 eV per atom
data_Dy3InN
_chemical_formula_sum 'Dy3 In1 N1'
_space_group_name_H-M_alt 'P m -3 m'
_space_group_IT_number 221
_space_group_name_Hall '-P 4 2 3'
_cell_length_a 4.819
_cell_length_b 4.819
_cell_length_c 4.819
_cell_angle_alpha 90.00
_cell_angle_beta 90.00
_cell_angle_gamma 90.00
loop_
_atom_site_label
_atom_site_type_symbol
_atom_site_fract_x
_atom_site_fract_y
_atom_site_fract_z
Dy1 Dy 0.000 0.000 0.500
In1 In 0.500 0.500 0.500
N1 N 0.000 0.000 0.000

=====

# CeFeNi4, relaxed, DFT PBE-GGA
# - Crystal system: hexagonal
# - E_tot: -6.43 eV per atom
data_CeFeNi4
_chemical_formula_sum 'Ce1 Fe1 Ni4'
_space_group_name_H-M_alt 'P -6 m 2'
_space_group_IT_number 187
_space_group_name_Hall 'P -6 2'
_cell_length_a 4.9502
_cell_length_b 4.9502
_cell_length_c 4.0617
_cell_angle_alpha 90.00
_cell_angle_beta 90.00
_cell_angle_gamma 120.00
loop_
_atom_site_label
_atom_site_type_symbol
_atom_site_fract_x
_atom_site_fract_y
_atom_site_fract_z
Ce1 Ce 0.0000 0.0000 0.0000
Fe1 Fe 0.3333 0.6667 0.0000
Ni1 Ni 0.9999 0.5000 0.5000
Ni2 Ni 0.6667 0.3333 0.0000

=====

# LiIn2Pd, relaxed, DFT PBE-GGA
# - Crystal system: cubic
# - E_tot: -3.60 eV per atom
data_LiIn2Pd
_chemical_formula_sum 'Li4 In8 Pd4'
_space_group_name_H-M_alt 'F m -3 m'
_space_group_IT_number 225
_space_group_name_Hall '-F 4 2 3'
_cell_length_a 6.640
_cell_length_b 6.640
_cell_length_c 6.640
_cell_angle_alpha 90.00
_cell_angle_beta 90.00
_cell_angle_gamma 90.00
loop_
_atom_site_label
_atom_site_type_symbol
_atom_site_fract_x
_atom_site_fract_y
_atom_site_fract_z
Li1 Li 0.000 0.000 0.000
In1 In 0.250 0.250 0.250
Pd1 Pd 0.000 0.000 0.500

=====

# LiCu2B2H8Cl2O8, relaxed, DFT PBE-GGA
# - Crystal system: tetragonal
# - E_tot: -5.34 eV per atom
data_LiCu2B2H8Cl2O8
_chemical_formula_sum 'Li1 Cu2 B2 H8 Cl2 O8'
_space_group_name_H-M_alt 'P -4'
_space_group_IT_number 81
_space_group_name_Hall 'P -4'
_cell_length_a 6.418
_cell_length_b 6.418
_cell_length_c 5.398
_cell_angle_alpha 90.00
_cell_angle_beta 90.00
_cell_angle_gamma 90.00
loop_
_atom_site_label
└──
Wanted:
The reader should count the lines above that contain the word "per" and give the number alone.
Reply:
7